## Work order
Transcribe the rows below from the line with "9.664 0.000" to the end verbatim.

## Source
/*
Material: Pr3Er
Method: DFT, meta-GGA r2SCAN
State: relaxed

offset from the most stable computed form = 3 meV/atom
space group = I4/mmm
calculated density = 7028 kg/m3
energy = -30.491 eV/atom

a = 6.315 Å, b = 6.315 Å, c = 6.315 Å
α = 131.24°, β = 131.24°, γ = 71.44°
Atoms (fractional coordinates):
Pr (0.750, 0.250, 0.500)
Pr (0.250, 0.750, 0.500)
Pr (0.500, 0.500, 0.000)
Er (0.000, 0.000, 0.000)


This record from Materials Project describes a relaxed structure of Li12Mn3NiP4C4O28. The functional is GGA+U.

Cell and atoms, written as POSCAR:
```
Li12Mn3NiP4C4O28
1.0
6.582 0.000 0.000
0.000 8.515 0.000
0.000 0.782 9.960
O Mn C Li P Ni
28 3 4 12 4 1
direct
0.816 0.691 0.584
0.500 0.929 0.026
0.684 0.309 0.915
0.000 0.154 0.257
0.000 0.575 0.793
0.500 0.856 0.746
0.000 0.421 0.589
0.500 0.113 0.178
0.314 0.311 0.414
0.184 0.691 0.584
0.500 0.930 0.526
0.183 0.689 0.089
0.000 0.886 0.822
0.000 0.144 0.754
0.500 0.423 0.703
0.500 0.113 0.678
0.000 0.420 0.091
0.000 0.566 0.299
0.500 0.580 0.905
0.000 0.893 0.322
0.817 0.689 0.089
0.000 0.069 0.974
0.686 0.311 0.414
0.500 0.856 0.246
0.316 0.309 0.915
0.500 0.423 0.203
0.500 0.580 0.405
0.000 0.077 0.475
0.500 0.660 0.611
0.000 0.340 0.889
0.500 0.660 0.112
0.000 0.039 0.352
0.000 0.033 0.852
0.500 0.967 0.149
0.500 0.967 0.649
0.725 0.273 0.622
0.000 0.904 0.119
0.776 0.727 0.877
0.500 0.093 0.880
0.500 0.093 0.380
0.224 0.726 0.376
0.776 0.726 0.376
0.275 0.273 0.622
0.224 0.727 0.877
0.000 0.908 0.619
0.275 0.274 0.125
0.725 0.274 0.125
0.500 0.410 0.360
0.000 0.586 0.142
0.000 0.590 0.636
0.500 0.409 0.861
0.000 0.333 0.397
```

The value obtained for the formation energy is -2.381 eV per atom. As for the space group: No. 6.


Nd2P7Rh12 | Materials Project | PBE | optimized geometry; formation enthalpy at 0 K = -19.00 eV per formula unit; calculated volume = 317 Å³ per cell; uncorrected energy = -7.3715 eV per atom; SG = P-3, No. 147
1.0
9.664 0.000 0.000
-4.832 8.369 0.000
0.000 0.000 3.921
Nd P Rh
2 7 12
direct
0.333 0.667 0.248
0.667 0.333 0.752
0.000 0.000 0.000
0.116 0.403 0.746
0.287 0.884 0.746
0.403 0.287 0.254
0.597 0.713 0.746
0.713 0.116 0.254
0.884 0.597 0.254
0.065 0.619 0.749
0.110 0.850 0.250
0.150 0.260 0.250
0.260 0.110 0.750
0.381 0.447 0.749
*/

## Reply
9.664 0.000 0.000
-4.832 8.369 0.000
0.000 0.000 3.921
Nd P Rh
2 7 12
direct
0.333 0.667 0.248
0.667 0.333 0.752
0.000 0.000 0.000
0.116 0.403 0.746
0.287 0.884 0.746
0.403 0.287 0.254
0.597 0.713 0.746
0.713 0.116 0.254
0.884 0.597 0.254
0.065 0.619 0.749
0.110 0.850 0.250
0.150 0.260 0.250
0.260 0.110 0.750
0.381 0.447 0.749